Brief:
Reproduce the whole of the contents underneath word for word.

File:
<<<
Computed, not measured: a cluster of 2 separate species, C5H11O2 in total at a distorted geometry, with the ωB97M-V functional and the def2-TZVPD basis.

The energy above the lowest of the compared OMol25 structures with the same formula, charge and spin comes out at 0.432 eV. The value obtained for the lowest unoccupied orbital energy is 3.7 eV. As for the strongest force on any atom: 1.341 eV/A. Its net charge is -1. For the frontier orbital gap, the calculation gives 7.51 eV. Its HOMO energy is -3.810 eV.

Last column: Löwdin charge in e.
Element x y z (Å)
C1 1.18 0.78 -1.84  -0.324
C2 1.40 0.09 -0.47  -0.120
C3 -0.27 0.69 -2.28  -0.131
H1 1.51 1.81 -1.72  0.085
H2 1.86 0.32 -2.56  0.085
H3 0.45 0.14 0.06  0.028
H4 -0.93 1.10 -1.52  0.074
H5 -0.47 1.09 -3.27  0.059
H6 2.09 0.60 0.18  0.064
H7 1.62 -0.97 -0.59  0.072
H8 -0.56 -0.36 -2.26  0.074
C4 -0.52 -0.62 2.58  -0.053
C5 -1.93 -0.87 2.01  -0.803
O1 -2.71 -1.61 2.65  -0.111
O2 -2.16 -0.27 0.92  -0.122
H9 0.04 -0.20 1.75  0.011
H10 -0.03 -1.58 2.81  0.056
H11 -0.59 -0.13 3.55  0.058

---

Computed, not measured: the molecule C21H26N4O5 at a distorted geometry, with the ωB97M-V functional and the def2-TZVPD basis.

The energy above the lowest of the compared OMol25 structures with the same formula, charge and spin comes out at 5.987 eV. The value obtained for the lowest unoccupied orbital energy is -0.2 eV. As for the strongest force on any atom: 1.435 eV/A. For the frontier orbital gap, the calculation gives 7.58 eV. As for the SMILES: COc1ccc([N+](=O)[O-])cc1NC(=O)CCN1CCN(c2ccccc2OC)CC1. Its HOMO energy is -7.757 eV.

Last column: Löwdin charge in e.
Element x y z (Å)
C1 -5.98 -1.70 1.70  -0.061
O1 -4.72 -1.36 1.18  -0.068
C2 -4.51 -0.13 0.70  -0.199
C3 -5.40 0.94 0.83  0.008
C4 -5.07 2.21 0.41  0.009
C5 -3.81 2.43 -0.15  -0.163
N1 -3.44 3.74 -0.57  -0.367
O2 -4.25 4.64 -0.44  0.076
O3 -2.32 3.89 -1.03  0.067
C6 -2.92 1.38 -0.33  0.078
C7 -3.26 0.10 0.07  -0.135
N2 -2.36 -0.95 -0.13  0.143
C8 -2.68 -2.15 -0.69  -0.469
O4 -3.79 -2.49 -1.03  0.089
C9 -1.45 -3.03 -0.87  -0.073
C10 -0.34 -2.33 -1.67  -0.176
N3 0.22 -1.19 -0.95  -0.219
C11 1.22 -1.58 0.04  -0.145
C12 1.63 -0.37 0.87  -0.130
N4 2.20 0.66 0.03  -0.086
C13 3.56 0.67 -0.24  -0.154
C14 4.07 0.78 -1.54  -0.028
C15 5.43 0.85 -1.78  -0.098
C16 6.33 0.81 -0.74  -0.098
C17 5.85 0.72 0.56  -0.029
C18 4.49 0.66 0.83  -0.197
O5 3.97 0.62 2.10  -0.112
C19 4.85 0.77 3.19  -0.084
C20 1.24 1.03 -0.99  -0.142
C21 0.78 -0.17 -1.83  -0.155
H1 -6.77 -1.55 0.96  0.103
H2 -6.21 -1.13 2.61  0.097
H3 -5.92 -2.76 1.94  0.099
H4 -6.37 0.78 1.28  0.108
H5 -5.75 3.03 0.51  0.120
H6 -1.97 1.57 -0.79  0.112
H7 -1.36 -0.71 -0.21  0.110
H8 -1.08 -3.31 0.12  0.113
H9 -1.75 -3.94 -1.39  0.122
H10 0.44 -3.06 -1.93  0.127
H11 -0.77 -1.96 -2.60  0.129
H12 0.79 -2.34 0.69  0.120
H13 2.11 -2.01 -0.45  0.135
H14 2.35 -0.66 1.63  0.117
H15 0.75 0.05 1.37  0.132
H16 3.40 0.80 -2.38  0.096
H17 5.78 0.93 -2.80  0.101
>>>

Solution:
Computed, not measured: a cluster of 2 separate species, C5H11O2 in total at a distorted geometry, with the ωB97M-V functional and the def2-TZVPD basis.

The energy above the lowest of the compared OMol25 structures with the same formula, charge and spin comes out at 0.432 eV. The value obtained for the lowest unoccupied orbital energy is 3.7 eV. As for the strongest force on any atom: 1.341 eV/A. Its net charge is -1. For the frontier orbital gap, the calculation gives 7.51 eV. Its HOMO energy is -3.810 eV.

Last column: Löwdin charge in e.
Element x y z (Å)
C1 1.18 0.78 -1.84  -0.324
C2 1.40 0.09 -0.47  -0.120
C3 -0.27 0.69 -2.28  -0.131
H1 1.51 1.81 -1.72  0.085
H2 1.86 0.32 -2.56  0.085
H3 0.45 0.14 0.06  0.028
H4 -0.93 1.10 -1.52  0.074
H5 -0.47 1.09 -3.27  0.059
H6 2.09 0.60 0.18  0.064
H7 1.62 -0.97 -0.59  0.072
H8 -0.56 -0.36 -2.26  0.074
C4 -0.52 -0.62 2.58  -0.053
C5 -1.93 -0.87 2.01  -0.803
O1 -2.71 -1.61 2.65  -0.111
O2 -2.16 -0.27 0.92  -0.122
H9 0.04 -0.20 1.75  0.011
H10 -0.03 -1.58 2.81  0.056
H11 -0.59 -0.13 3.55  0.058

---

Computed, not measured: the molecule C21H26N4O5 at a distorted geometry, with the ωB97M-V functional and the def2-TZVPD basis.

The energy above the lowest of the compared OMol25 structures with the same formula, charge and spin comes out at 5.987 eV. The value obtained for the lowest unoccupied orbital energy is -0.2 eV. As for the strongest force on any atom: 1.435 eV/A. For the frontier orbital gap, the calculation gives 7.58 eV. As for the SMILES: COc1ccc([N+](=O)[O-])cc1NC(=O)CCN1CCN(c2ccccc2OC)CC1. Its HOMO energy is -7.757 eV.

Last column: Löwdin charge in e.
Element x y z (Å)
C1 -5.98 -1.70 1.70  -0.061
O1 -4.72 -1.36 1.18  -0.068
C2 -4.51 -0.13 0.70  -0.199
C3 -5.40 0.94 0.83  0.008
C4 -5.07 2.21 0.41  0.009
C5 -3.81 2.43 -0.15  -0.163
N1 -3.44 3.74 -0.57  -0.367
O2 -4.25 4.64 -0.44  0.076
O3 -2.32 3.89 -1.03  0.067
C6 -2.92 1.38 -0.33  0.078
C7 -3.26 0.10 0.07  -0.135
N2 -2.36 -0.95 -0.13  0.143
C8 -2.68 -2.15 -0.69  -0.469
O4 -3.79 -2.49 -1.03  0.089
C9 -1.45 -3.03 -0.87  -0.073
C10 -0.34 -2.33 -1.67  -0.176
N3 0.22 -1.19 -0.95  -0.219
C11 1.22 -1.58 0.04  -0.145
C12 1.63 -0.37 0.87  -0.130
N4 2.20 0.66 0.03  -0.086
C13 3.56 0.67 -0.24  -0.154
C14 4.07 0.78 -1.54  -0.028
C15 5.43 0.85 -1.78  -0.098
C16 6.33 0.81 -0.74  -0.098
C17 5.85 0.72 0.56  -0.029
C18 4.49 0.66 0.83  -0.197
O5 3.97 0.62 2.10  -0.112
C19 4.85 0.77 3.19  -0.084
C20 1.24 1.03 -0.99  -0.142
C21 0.78 -0.17 -1.83  -0.155
H1 -6.77 -1.55 0.96  0.103
H2 -6.21 -1.13 2.61  0.097
H3 -5.92 -2.76 1.94  0.099
H4 -6.37 0.78 1.28  0.108
H5 -5.75 3.03 0.51  0.120
H6 -1.97 1.57 -0.79  0.112
H7 -1.36 -0.71 -0.21  0.110
H8 -1.08 -3.31 0.12  0.113
H9 -1.75 -3.94 -1.39  0.122
H10 0.44 -3.06 -1.93  0.127
H11 -0.77 -1.96 -2.60  0.129
H12 0.79 -2.34 0.69  0.120
H13 2.11 -2.01 -0.45  0.135
H14 2.35 -0.66 1.63  0.117
H15 0.75 0.05 1.37  0.132
H16 3.40 0.80 -2.38  0.096
H17 5.78 0.93 -2.80  0.101